
Thursday, March 24, 2011


Spring break came and went and it was great having nothing to do and just relaxing!

We really did nothing the first part of the week.  We had thrown around the idea of going to Sea World and then the ranch for a few days but all London wanted to do was go to the beach.

We finally headed to the beach Thurs. afternoon and had a great time.  My mom went with us and made the day extra fun!!  The girls loved having her there....especially Kinley since she sat in Nana's lap the entire time we were at the beach.  She wanted nothing to do with the ocean or sand.  I thought for sure she would love digging in the sand since she loves the sand box at home but I was wrong.

Yes, Kinley is wearing London's swim suit from when she was 2....I'm in the process now of taking 'London' off and putting 'Kinley' on!!

London on the other hand is such a little beach girl.  
She built sand castles and got buried in the sand, 

walked the jetty with me, 

and relaxed in the sun...just long enough for a snack!

There were tons of jelly fish but that didn't stop us from having a fun time :)

After we had had enough of the sand we went to a shell shop and let the girls look around then finished the night off at Rainforest Cafe!!  They had so many things going on that made the wait go by fast.  We rode the river ride and the girls played a few games then we headed in for dinner.  

We were exhausted from our day trip to the beach on Friday and just relaxed at home.  Saturday Matt took a much needed break from work and we took the girls to the rodeo exhibits and carnival.  

We started off with some good rodeo food for lunch...with 150,000 people there that day there wasn't a place to sit and we improvised!!

The girls loved the petting zoo.  Kinley especially loved the chickens!!

After the exhibits and petting zoo we headed out to the carnival and the real fun began.  

Matt was such a trooper getting on most of the rides with the girls.  

A snack break...

and then we were DONE!!

Lets just say that it was a great day....even if Matt went in to the office after we got home.

Spring break was so fun and I can't wait for summer!!  School is back full force and the schedule is back in place....except for Monday morning when I woke up at 7:40 and realized I forgot to set my alarm.  OOPS!!  I told you I wasn't ready for spring break to be over.  :)

For the record, I got London up and dressed in 15 minutes and we weren't a second late for school!


Wednesday, March 16, 2011


Better late than never, right?  I've been in such a non-blogging mood lately but I'm going to try my best to do a decent update.

 Not a whole lot has been going on and life is pretty much the same except for the fact that we have 'gone public' about our newest little one....due to arrive October 8, 2011!!!

We are thrilled and can't wait to meet baby #3!!  I just need to figure out where this baby is going to go once he/she makes his/her arrival.  I always keep my babies in my room for about 4-6 months (a long time I know) but since we only have 3 bedrooms upstairs I need to figure out if I'm going to let 2 kids share a room or let them each have their own room.  London has said she wants Kinley in her room but I know she could change her mind any minute.  I have no idea where I would put all the stuff from the 3rd bedroom if I were to give the baby that room.

We went to the rodeo and saw Sugarland and had a great time.  It was a total surprise and last minute plans and despite not being able to find a sitter we dressed up the girls and just took them with us.  They had a great time and loved watching the rodeo....and Sugarland.  We did take pics...  here are a few!

Today the girls and I met a sweet friend and her twin girls for a play date.  We tried out a new park then headed to Johnny Carino's for a yummy lunch.  I packed my camera but didn't have much time to take pics.  With a 6 year old and 3 kids 2 and under, us mommies were chasing little ones all over!!  We had a great time and it has been a long time since we got together so it was great to catch up on life with each other.

Tomorrow we are hoping to head to the beach for a couple of days.  I can't believe spring break is half over.  :(


Tuesday, March 1, 2011


We had a family party for Kinley on Saturday.  Very simple and low key but the kids had fun and that's all that matters.  I added another candle to her birthday banner!!

Kinley wasn't one bit interested in opening presents.....she wanted to blow bubbles instead.  After a little fit of being taken away from the bubbles she sat while London opened her gifts.  I'm pretty sure that is how London wanted it anyways.  

I made Kinley some Elmo overalls for her party and London and I made Elmo cake pops (they turned out looking like possessed Elmo) and we made some cupcakes too!!  Mom brought Elmo cookies that were to die for!!  

Here are all the cousins playing in the sand box

[What comes next are calculated crystals, not part of the entry]
VASP calculation (meta-GGA SCAN) on a crystal of Sm2B4O9 relaxed with PBEsol.

Results
Magnetization: 0.000 μB/f.u.
Energy relative to the elements, uncorrected: -47.11 eV per formula unit
Electronic total energy: -14.7865 eV per atom
Fermi-level density of states: 0.00 states/eV/cell

Structure (CIF):
```
data_Sm2B4O9
_cell_length_a 6.2041
_cell_length_b 6.4883
_cell_length_c 7.5460
_cell_angle_alpha 102.29
_cell_angle_beta 97.06
_cell_angle_gamma 102.63
_space_group_name_H-M_alt 'P -1'
_space_group_IT_number 2
loop_
_space_group_symop_operation_xyz
'x,y,z'
'-x,-y,-z'
loop_
_atom_site_label
_atom_site_fract_x
_atom_site_fract_y
_atom_site_fract_z
Sm1 0.0476 0.0929 0.2846
Sm2 0.3866 0.6767 0.3581
B1 0.1257 0.3563 0.6528
B2 0.1615 0.6791 0.9259
B3 0.2299 0.3343 0.9807
B4 0.4946 0.1484 0.1878
O1 0.0052 0.7861 0.0183
O2 0.0398 0.5361 0.7487
O3 0.0780 0.8164 0.4420
O4 0.2617 0.2640 0.7902
O5 0.2736 0.5694 0.0383
O6 0.2781 0.4068 0.5254
O7 0.3134 0.8653 0.8813
O8 0.3601 0.2823 0.1402
O9 0.4337 0.0488 0.3234
```

VASP calculation (meta-GGA SCAN) on a crystal of SmB3O6 relaxed with PBEsol.

Results
Magnetization: 0.000 μB/f.u.
Energy relative to the elements, uncorrected: -30.10 eV per formula unit
Electronic total energy: -13.4219 eV per atom
Fermi-level density of states: 0.00 states/eV/cell

Structure (CIF):
```
data_SmB3O6
_cell_length_a 9.6658
_cell_length_b 8.0258
_cell_length_c 6.2431
_cell_angle_alpha 90.00
_cell_angle_beta 125.93
_cell_angle_gamma 90.00
_space_group_name_H-M_alt 'C 1 2/c 1'
_space_group_IT_number 15
loop_
_space_group_symop_operation_xyz
'x,y,z'
'-x,-y,-z'
'-x,y,-z+1/2'
'x,-y,z+1/2'
'x+1/2,y+1/2,z'
'-x+1/2,-y+1/2,-z'
'-x+1/2,y+1/2,-z+1/2'
'x+1/2,-y+1/2,z+1/2'
loop_
_atom_site_label
_atom_site_fract_x
_atom_site_fract_y
_atom_site_fract_z
Sm1 0.0000 0.1981 0.2500
B1 0.0000 0.2192 0.7500
B2 0.2242 0.4356 0.0873
O1 0.1017 0.3115 0.9957
O2 0.1050 0.1083 0.7074
O3 0.1990 0.4076 0.5017
```

VASP calculation (meta-GGA SCAN) on a crystal of Sm3BWO9 relaxed with PBEsol.

Results
Magnetization: 0.001 μB/f.u.
Energy relative to the elements, uncorrected: -46.39 eV per formula unit
Electronic total energy: -22.3514 eV per atom
Fermi-level density of states: 0.00 states/eV/cell

Structure (CIF):
```
data_Sm3BWO9
_cell_length_a 8.5657
_cell_length_b 8.5657
_cell_length_c 5.4234
_cell_angle_alpha 90.00
_cell_angle_beta 90.00
_cell_angle_gamma 120.00
_space_group_name_H-M_alt 'P 63'
_space_group_IT_number 173
loop_
_space_group_symop_operation_xyz
'x,y,z'
'x-y,x,z+1/2'
'-y,x-y,z'
'-x,-y,z+1/2'
'-x+y,-x,z'
'y,-x+y,z+1/2'
loop_
_atom_site_label
_atom_site_fract_x
_atom_site_fract_y
_atom_site_fract_z
Sm1 0.0845 0.7259 0.0000
B1 0.0000 0.0000 0.1585
W1 0.3333 0.6667 0.5431
O1 0.0494 0.8697 0.6494
O2 0.1358 0.5147 0.7734
O3 0.1968 0.4683 0.3350
```

VASP calculation (meta-GGA SCAN) on a crystal of SnBO3 relaxed with PBEsol.

Results
Magnetization: 0.000 μB/f.u.
Energy relative to the elements, uncorrected: -9.91 eV per formula unit

And here are my favorite pics of the birthday girl!!!
